What is structured workplace learning?
Structured workplace learning provides students with the opportunity to:
- integrate practical on-the-job experience and learning in the workplace with nationally recognised Vocational Education and Training (VET) undertaken as part of the Victorian Certificate of Education (VCE), the VCE Vocational Major or the Victorian Pathways Certificate
- undertake a work placement to complement an applied learning program as part of the VCE Vocational Major or the Victorian Pathways Certificate
- demonstrate the practical application of work-related skills as part of VCE Industry and Enterprise.
Structured workplace learning provides the opportunity for:
- enhanced skill development
- practical application of industry knowledge
- assessment of units of competency
- achievement of some learning outcomes
- enhanced employment opportunities.
Principles of quality structured workplace learning
Quality structured workplace learning takes place within the context of vocational courses which are recognised by industry, are responsive to industry needs, and form part of a student’s exit credentials.
Quality workplace learning is structured, in that it:
- has a clearly articulated and documented purpose
- has clearly identified and documented learning outcomes for students within accredited programs which are linked to post-school qualifications
- is of sufficient duration and depth to enable students to acquire a reasonable understanding of the enterprise/industry to be able to demonstrate competence according to industry standards of at least Level 1 of the Australian Qualifications Framework (AQF)
- matches students’ skills and interests with the structured training
- thoroughly prepares students, teachers and employers beforehand so that expectations and outcomes of the structured workplace learning are clearly understood by all parties.
Quality structured workplace learning is monitored, in that:
- the learning is coordinated by staff with appropriate expertise and adequate resources
- support is available to students and employers throughout the course of the structured workplace learning.
Quality structured workplace learning is regulated, to ensure that:
- the safety, health, education, development and wellbeing of students is protected
- students work in a non-discriminatory and harassment free environment
- students receive appropriate training and instruction in occupational health and safety (OHS)
- students are not exploited by being continuously engaged in a production or service capacity, or being used to substitute for the employment of employees or the engagement of contractors and payment of appropriate wages or fees for service
- students understand the roles and responsibilities of employees in the workplace and are expected to follow reasonable directions of their supervisors and other employees.
Quality structured workplace learning is assessed, so that:
- students’ competencies achieved in the workplace are measured against industry standards, and contribute to the overall assessment of the program
- there are mechanisms for recording and reporting of students’ competencies.
Benefits of structured workplace learning
Benefits for students
The benefits of structured workplace learning for students include:
- improved understanding of the work environment and employers’ expectations
- exposure to the world-of-work
- increased self-understanding, maturity, independence and self-confidence, especially in the workplace
- increased motivation to continue study and/or undertake further training
- enhanced opportunities for part-time and casual employment
- opportunity to develop and gain work-related competencies
- opportunity to acquire skills relevant to the workplace
- opportunity to try out career choices before leaving school
- opportunity to develop contacts with potential employers
- opportunity to demonstrate mastery of specific skills and competencies related to the accredited course which they are undertaking
- opportunity to undertake relevant courses which count towards the student’s exit credential and articulate into further education and training.
Benefits for schools
The benefits of structured workplace learning for schools include:
- improved knowledge and understanding of changing work environments
- a strengthened relationship between the school, local community and industry
- opportunity to work collaboratively with parents/carers in their child’s schooling
- providing a relevant curriculum which helps students develop skills for life-long learning.
Benefits for parents/carers
The benefits of structured workplace learning for parents/carers include:
- opportunity to discuss with their child the topic of work, including their own previous and current experiences
- opportunity to positively contribute to their child’s secondary education
- opportunity for family involvement in discussions about further education, training and employment.
Benefits for employers
The benefits of structured workplace learning for employers include:
- opportunity for involvement in the education and development of students
- opportunity to contribute to the development of entry level skills in industry
- opportunity to promote to young people the career potential of their industry
- opportunity to develop the training and supervisory skills of employees
- opportunity for employers to mentor young people in their career decision-making
- opportunity to create dialogue with teachers on aspects of work readiness and other matters related to work
## Inserted here: data records
____________
Model A:
{
  "formula": "C3H6N2O",
  "method": "ωB97M-V/def2-TZVPD",
  "homo_energy_ev": [-8.68, -10.37],
  "homo_lumo_gap_ev": [9.5, 8.8],
  "spin_multiplicity": 3,
  "s_squared": 2.010,
  "elements": ["H", "H", "N", "C", "H", "H", "O", "C", "C", "N", "H", "H"],
  "xyz": [[2.751, -1.049, 0.041], [-1.932, 1.736, 0.414], [-0.177, -0.834, -0.704], [-0.939, -1.597, -0.056], [-1.953, 0.883, -1.121], [-2.876, 0.088, 0.219], [-1.401, -2.609, 0.343], [2.804, -0.030, -0.334], [-2.016, 0.704, -0.031], [-1.015, -0.252, 0.270], [2.803, 0.607, 0.481], [2.559, 0.073, -1.355]],
  "mulliken_spin": [0.03, 0.01, 0.47, -0.02, 0.00, 0.01, 0.03, 0.90, 0.04, 0.46, 0.04, 0.03]
}

***

Model B:
{
  "formula": "C3H6N2O",
  "method": "ωB97M-V/def2-TZVPD",
  "homo_energy_ev": [-6.04, -10.41],
  "homo_lumo_gap_ev": [6.4, 7.6],
  "spin_multiplicity": 3,
  "s_squared": 2.014,
  "elements": ["C", "N", "C", "O", "H", "H", "C", "N", "H", "H", "H", "H"],
  "xyz": [[1.853, 0.226, -0.065], [2.916, 0.621, 0.108], [-0.176, 1.454, 0.249], [-0.228, -1.247, 0.706], [-1.154, 1.316, -0.272], [0.407, 2.399, 0.117], [0.466, 0.099, -0.255], [-1.121, -1.776, -0.203], [-2.082, -1.625, -0.139], [-0.303, 1.231, 1.373], [-0.737, -2.672, -0.326], [0.159, -0.026, -1.292]],
  "mulliken_spin": [-0.05, 0.24, -0.06, 0.51, 0.00, 0.02, 0.79, 0.53, 0.01, 0.02, 0.00, -0.03]
}

***

It is model A that is the most stable of them.

***

Model A:
{
  "formula": "CH3N2O2S",
  "method": "ωB97M-V/def2-TZVPD",
  "homo_energy_ev": [-4.20, -4.20],
  "homo_lumo_gap_ev": [7.3, 7.3],
  "total_charge": -1,
  "elements": ["H", "H", "N", "N", "O", "S", "C", "O", "H"],
  "xyz": [[-0.266, -0.105, 1.451], [1.797, 0.143, -1.339], [1.895, 1.577, 0.421], [-0.425, 1.288, -0.194], [3.601, -0.072, -0.104], [2.141, 0.116, -0.065], [-0.873, 0.484, 0.615], [1.352, -1.044, 0.413], [-1.894, 0.131, 0.626]],
  "nbo_charge": [0.21, -0.11, -0.78, -0.34, -0.99, 2.05, -0.17, -1.01, 0.15]
}

***

Model B:
{
  "formula": "CH3N2O2S",
  "method": "ωB97M-V/def2-TZVPD",
  "homo_energy_ev": [-3.26, -3.08],
  "homo_lumo_gap_ev": [7.4, 7.0],
  "total_charge": -1,
  "elements": ["H", "H", "N", "O", "N", "O", "H", "C", "S"],
  "xyz": [[0.604, -1.467, 1.333], [-1.133, -1.626, 1.574], [0.663, 0.154, -0.415], [-0.845, 1.515, -2.107], [-0.610, -0.257, 0.159], [1.566, 1.385, -2.456], [-0.380, -0.143, 2.085], [-0.328, -0.999, 1.333], [0.462, 1.439, -1.507]],
  "nbo_charge": [0.19, 0.18, -0.56, -1.00, -0.25, -1.02, 0.18, -0.46, 1.73]
}

***

It is model B that is the most stable of them.

***

Model A:
{
  "formula": "H41O20",
  "method": "ωB97M-V/def2-TZVPD",
  "homo_energy_ev": -12.49,
  "homo_lumo_gap_ev": 10.0,
  "total_charge": 1,
  "elements": ["O", "H", "O", "O", "H", "H", "H", "O", "O", "O", "O", "H", "H", "H", "H", "H", "H", "H", "H", "H", "H", "O", "O", "O", "O", "O", "H", "H", "H", "H", "H", "O", "H", "H", "H", "H", "O", "H", "H", "H", "H", "H", "H", "H", "H", "H", "H", "H", "O", "H", "O", "O", "H", "H", "H", "H", "H", "O", "O", "H", "O"],
____________
- building industry-school partnerships that provide for local community needs and endeavours
- encouraging students to become involved with businesses in their local community.
Benefits for the community
The benefits of structured workplace learning for the community include:
- opportunity for young people to actively contribute to and learn about businesses in their local community
- opportunity for young people to become actively involved in building the local community, especially in regional and rural areas
- provision of links between Local Learning and Employment Networks, local government, industry, unions, and education and training providers, to maximise employment and training outcomes for young people
- involvement of schools, training organisations and communities in collaborative projects.
Reviewed 25 February 2025